Third Degree Burns

Also, all this happened after Lucy's father beat the shit out of her for being honest about what she believed were her sins, when she was hoping or forgiveness and was told she wouldn't get it. Then we saw her visiting Harry and telling her that she had been abused by all the men in her life and that she deserved

Next to the piece, the page also holds data records:
'''
The following is a DFT calculation (PBEsol) of crystalline Li2CaCl at its relaxed geometry.

Its density of states at the Fermi level is 1.65 states/eV per cell. Its offset from the most stable computed form is 0.0 meV per atom. The value obtained for the energy relative to the elements, uncorrected is -715 meV/atom.

abc: 3.576 3.576 8.934
angles: 90.00 90.00 117.44
Sites, in units of the cell vectors:
Cl  0.500  0.500  0.226
Li  0.500  0.500  0.767
Li  0.000  0.000  0.042
Ca  0.000  0.000  0.465

----------

VASP calculation (PBE-GGA) on a relaxed BaAl2Os crystal.

The energy of formation from the pure elements is 699 meV/atom.

The space group is I-4m2 (No. 119) and the conventional cell measures 4.9176, 4.9176 and 6.9462 Å, with angles of 90.00, 90.00 and 90.00 degrees. The inequivalent atoms are Ba at (0.0000, 0.0000, 0.0000), Al at (0.0000, 0.0000, 0.5000), Al at (0.0000, 0.5000, 0.7500) and Os at (0.0000, 0.5000, 0.2500).

VASP calculation (PBE-GGA) on a relaxed BaAl2Os crystal.

The energy of formation from the pure elements is 305 meV/atom.

The space group is R-3m (No. 166, hexagonal axes) and the conventional cell measures 3.2768, 3.2768 and 28.2575 Å, with angles of 90.00, 90.00 and 120.00 degrees. The inequivalent atoms are Ba at (0.0000, 0.0000, 0.0000), Al at (0.0000, 0.0000, 0.2274) and Os at (0.0000, 0.0000, 0.5000).

VASP calculation (PBE-GGA) on a relaxed BaAl2Os crystal.

The energy of formation from the pure elements is 806 meV/atom.

The space group is Cmmm (No. 65) and the conventional cell measures 6.1758, 8.0642 and 3.3026 Å, with angles of 90.00, 90.00 and 90.00 degrees. The inequivalent atoms are Ba at (0.0000, 0.0000, 0.0000), Al at (0.2500, 0.2500, 0.5000) and Os at (0.0000, 0.5000, 0.0000).

VASP calculation (PBE-GGA) on a relaxed Ba2AlOs crystal.

The energy of formation from the pure elements is 8 meV/atom.
'''
End of the data records:

Crap, I forgot to mention- I know what Darrow's game is now! I was wondering last week how he knew Abby had been to Seder and why he was taking such an interest in her spiritual life, since it was shown pretty explicitly early on that he's Christian not Jewish, but I just chalked it up to him knowing everything that

Well, that whole thing with not getting airplay/streaming and exposure you just enlightened us about is stupid and I don't know why it's happening. If it's because it's on WGN then that's counterintuitive and stupid too, because they won't get a better reputation or prestige if no one knows they have good shows.

This episode would be an A for me, just for finally hitting the Meeks spying slow-burn storyline hard, which provided probably the tensest episode of this show ever. I was biting my nails all the way through, because I do give a shit about all these characters- Meeks, Fritz, Jeannie- and I was hoping it could somehow

Jesus FC, Mike Milligan is a very bad man. He's also a very BAD man, which is why I was cheering when he did not die, but killed those motherfuckers come to kill him. I know there's almost no chance he'll come out of this alive, but going down in some seedy hotel room, even when looking his best, is not the way Mike

SO great, ungh. Loved it.

Records of crystals, kept here for reference:
********
(1)
VASP calculation (PBE) on a geometry-optimized Sr2Sn4GeAu3 structure.

Lattice parameters (Å, degrees): 4.738 4.738 11.645 90.00 90.00 90.00
Fractional positions:
Sr (0.000, 0.500, 0.245)
Sr (0.500, 0.000, 0.755)
Sn (0.000, 0.000, 0.500)
Sn (0.000, 0.500, 0.870)
Sn (0.500, 0.000, 0.130)
Sn (0.500, 0.500, 0.500)
Ge (0.500, 0.500, 0.000)
Au (0.000, 0.000, 0.000)
Au (0.000, 0.500, 0.639)
Au (0.500, 0.000, 0.361)

Summary:
Calculated total energy: -3.8728 eV/atom
Formation enthalpy at 0 K: -0.4904 eV per atom
Crystal system: tetragonal
SG: P-4m2, No. 115



(2)
VASP calculation (PBE) on a geometry-optimized CePuTlSn structure.

Lattice parameters (Å, degrees): 5.441 5.441 5.441 60.00 60.00 60.00
Fractional positions:
Ce (0.000, 0.000, 0.000)
Pu (0.500, 0.500, 0.500)
Tl (0.750, 0.750, 0.750)
Sn (0.250, 0.250, 0.250)

Summary:
Calculated total energy: -6.9088 eV/atom
ΔE to the lowest computed polymorph: 85.2 meV per atom
Formation enthalpy at 0 K: -0.2500 eV per atom
Crystal system: cubic
SG: F-43m, No. 216



(3)
VASP calculation (PBE) on a geometry-optimized CaBi2Pd2 structure.

Lattice parameters (Å, degrees): 6.088 6.088 6.088 130.14 130.14 73.18
Fractional positions:
Ca (0.000, 0.000, 0.000)
Bi (0.250, 0.750, 0.500)
Bi (0.750, 0.250, 0.500)
Pd (0.363, 0.363, 0.000)
Pd (0.637, 0.637, 0.000)

Summary:
Calculated total energy: -4.4503 eV/atom
Formation enthalpy at 0 K: -0.4205 eV per atom
Crystal system: tetragonal
SG: I4/mmm, No. 139



(4)
VASP calculation (PBE) on a geometry-optimized PrBeP2 structure.

Lattice parameters (Å, degrees): 7.553 7.553 7.553 33.16 33.16 33.16
Fractional positions:
Pr (0.000, 0.000, 0.000)
Be (0.500, 0.500, 0.500)
P (0.407, 0.407, 0.407)
P (0.593, 0.593, 0.593)

Summary:
Calculated total energy: -5.0819 eV/atom
Formation enthalpy at 0 K: -0.2505 eV per atom
Crystal system: trigonal
SG: R-3m, No. 166



(5)
VASP calculation (PBE) on a geometry-optimized AgSb2 structure.

Lattice parameters (Å, degrees): 6.373 6.373 6.373 151.16 140.63 49.53
Fractional positions:
Ag (0.000, 0.000, 0.000)
Sb (0.369, 0.369, 0.000)
Sb (0.631, 0.631, 0.000)

Summary:
Calculated total energy: -3.5140 eV/atom
Formation energy from raw total energies: 4.26 kcal/mol of atoms
Crystal system: orthorhombic
SG: Immm, No. 71



(6)
VASP calculation (PBE) on a geometry-optimized ZrInCuPt2 structure.

Lattice parameters (Å, degrees): 4.981 4.981 4.585 90.00 90.00 90.00
Fractional positions:
Zr (0.000, 0.000, 0.000)
In (0.500, 0.500, 0.500)
Cu (0.500, 0.500, 0.000)
Pt (0.000, 0.500, 0.500)
Pt (0.500, 0.000, 0.500)

Summary:
Calculated total energy: -4.8654 eV/atom
Formation enthalpy at 0 K: 0.6275 eV per atom
Crystal system: tetragonal
SG: P4/mmm, No. 123



(7)
VASP calculation (PBE) on a geometry-optimized La2MgN2 structure.

Lattice parameters (Å, degrees): 7.383 7.383 7.383 150.43 150.43 42.32
Fractional positions:
La (0.159, 0.159, 0.000)
La (0.841, 0.841, 0.000)
Mg (0.500, 0.500, 0.000)
N (0.337, 0.337, 0.000)
N (0.663, 0.663, 0.000)

Summary:
********

You're right, they probably couldn't walk out, not with all that top-secret info they're privy to. In fact, I'd be surprised if their being asked to work on the gadget didn't come with very few rights for them, as workers and scientists. Look at Sid Liao's whole mess with his own inventions. But that's what makes it

Knowing that this is based in history but not historically accurate, but that many things they're dramatizing here actually did happen (Oppenheimer's affairs, etc.), I now want to look up if there really was some action by the scientists at Los Alamos about wanting to have a say in wha was done with their bomb. That,

Yeah, he's a stone-cold, super competent assassin. Every time he was creeping around buildings in the episode, I was like, okay, he needs to die right now. He's so dangerous and amoral.

I noticed her eyeliner but didn't have the historical context to know it was anachronistic. What would she be wearing, that frosted makeup that was all over the 70's?

I know, I guess there was such a reaction to that decor that I had it drummed in to me that it was bad taste. But you're right, a lot of that stuff is coming back in measured doses. All I'm saying is, I could be very comfortable living in those houses as is, but it would probably be embarrassing to have people over

I really liked this episode, definitely an A. This show never gets lower than a B, so I really wish more people were aware of this quality show, esp. considering how many people watch shows that regularly get C's and D's here. Look, an alternative!

I knew I recognized it, but I thought it was from like mid-00's, but the review says it was "Colorblind" which looking it up was by The Counting Crows from '99 and was also used in Cruel Intentions. Which must be where I know it from but I haven't seen that movie in a long time.

A lot actually, especially in the first season. This season, as the run-up time to the bomb gets closer, has been busy building tension all over the place so far, but this episode feels like one that's been finally integrating Frank back onto the Hill, so I'm sure we'll start hearing more about the gadget again soon.

They've been putting things on their Facebook since they started filming and it's really just making me impatient for it to come back.

They've been putting things on their Facebook since they started filming and it's really just making me impatient for it to come back.

-- Inserted here: data records --
'''
# 1
{
  "formula": "PaPtAu",
  "functional": "PBE",
  "state": "relaxed",
  "polymorph_energy_ev_per_atom": 0.032,
  "lattice": [[5.2130, 0.0000, 0.0000], [-2.6065, 4.5146, 0.0000], [0.0000, 0.0000, 5.5098]],
  "species": ["Au", "Pt", "Pa", "Pt", "Au", "Pa"],
  "fractional_positions": [[0.0000, 0.0000, 0.3428], [0.6667, 0.3333, 0.8431], [0.6667, 0.3333, 0.3431], [0.3333, 0.6667, 0.3431], [0.0000, 0.0000, 0.8428], [0.3333, 0.6667, 0.8431]]
}

=====

# 2
{
  "formula": "KUI2Br8",
  "functional": "PBE",
  "state": "relaxed",
  "e_form_raw_ev_per_atom": -0.92,
  "lattice": [[7.1563, -1.4194, 0.1368], [-1.3225, 9.1969, 1.3199], [0.3327, 1.9001, 9.3045]],
  "species": ["I", "U", "Br", "K", "I", "Br", "Br", "Br", "Br", "Br", "Br", "Br"],
  "fractional_positions": [[0.4509, 0.5296, 0.7290], [0.0000, 0.0000, 0.0000], [0.5104, 0.8184, 0.5433], [0.0000, 0.0000, 0.5000], [0.5491, 0.4704, 0.2710], [0.9152, 0.1791, 0.7425], [0.3874, 0.1942, 0.9295], [0.9292, 0.1888, 0.1381], [0.6126, 0.8058, 0.0705], [0.4896, 0.1816, 0.4567], [0.0848, 0.8209, 0.2575], [0.0708, 0.8112, 0.8619]]
}

=====

# 3
{
  "formula": "Ho3U2Tc4",
  "functional": "PBE",
  "state": "relaxed",
  "lattice": [[4.2542, 0.0000, 0.0000], [-2.1271, 5.2775, -1.2844], [0.0000, 0.4352, 8.8154]],
  "species": ["Tc", "U", "Tc", "Tc", "Ho", "Ho", "Tc", "Ho", "U"],
  "fractional_positions": [[0.0890, 0.1781, 0.6379], [0.3253, 0.6505, 0.2230], [0.2736, 0.5471, 0.9033], [0.9110, 0.8219, 0.3621], [0.6251, 0.2501, 0.3862], [0.3749, 0.7499, 0.6138], [0.7264, 0.4529, 0.0967], [0.0000, 0.0000, 0.0000], [0.6747, 0.3495, 0.7770]]
}

=====

# 4
{
  "formula": "CeSiTc2Ge",
  "functional": "PBE",
  "state": "relaxed",
  "e_form_raw_ev_per_atom": -0.51,
  "lattice": [[5.9205, 0.0000, 0.0000], [0.0000, 5.9456, 0.0000], [0.0000, -2.9728, 5.1422]],
  "species": ["Tc", "Si", "Ge", "Ce", "Si", "Tc", "Tc", "Tc", "Ce", "Ge"],
  "fractional_positions": [[0.0000, 0.7562, 0.0000], [0.2500, 0.6136, 0.2273], [0.7500, 0.1387, 0.2774], [0.2500, 0.2548, 0.5097], [0.7500, 0.3864, 0.7727], [0.5000, 0.7562, 0.0000], [0.5000, 0.2438, 0.0000], [0.0000, 0.2438, 0.0000], [0.7500, 0.7452, 0.4903], [0.2500, 0.8613, 0.7226]]
}

=====

# 5
{
  "formula": "TlZnB",
  "functional": "PBE",
  "state": "relaxed",
  "lattice": [[-1.6863, -2.9686, -2.2466], [0.9188, -2.7219, 2.9070], [-6.5548, 1.2616, 3.2530]],
  "species": ["Zn", "Tl", "Tl", "Zn", "B", "B"],
  "fractional_positions": [[0.0000, 0.5000, 0.6016], [0.5000, 0.0000, 0.8246], [0.0000, 0.5000, 0.1754], [0.5000, 0.0000, 0.3984], [0.0000, 0.0000, 0.5000], [0.5000, 0.5000, 0.5000]]
}

=====

# 6
{
  "formula": "HPt3Pb",
  "functional": "PBE",
  "state": "relaxed",
  "polymorph_energy_ev_per_atom": 1.833,
  "lattice": [[5.1482, 0.0000, 0.0000], [0.0000, 5.1482, 0.0000], [0.0000, 0.0000, 5.1482]],
  "species": ["Pt", "Pb", "H", "Pt", "Pt"],
  "fractional_positions": [[0.0000, 0.5000, 0.0000], [0.0000, 0.0000, 0.0000], [0.5000, 0.5000, 0.5000], [0.5000, 0.0000, 0.0000], [0.0000, 0.0000, 0.5000]]
'''

They've been putting things on their Facebook since they started filming and it's really just making me impatient for it to come back.

That's next on my to watch list. And I think your sentiment applies to a show that I did just watching as well, which is Manhattan. Really enjoy that and think it's worth it.

Yes to all that, plus Noreen's sweater, if you had that today you wouldn't even know it wasn't something you bought new.

Ugh, how he could Lou have still thought that chucklefuck had any answers after that tone-deaf war movie story at the urinals. Which he could barely remember (shout-out to already encroaching cognitive decline?).